Break-In Unused Cartridge with Old Stylus? New Stylus in Old Body? Problems Encountered?

Break-In of Old Unused Cartridge???? Old Stylus? New Stylus in Old Body??? Problems Encountered???

The 2 separate considerations seem to be old stylus suspension, and body internals.

I found this from 2015

  • Jr. Member
  • Posts: 124
    Re: Clearaudio MM -- AT-95E and beyond« Reply #1133 on: 26 Jun 2015, 03:31 am »Hi Neo.

    I completely agree with your comment in regards to this required ’mini’ break-in after a cartridge has sat for a while . Some of you may be asking yourself, just how long is this
    ’for a while’. Well, I had cartridges that don’t sound quite as I remember them sounding only after a couple of days of this sitting. Others take several weeks before this same effect takes place. To me, the cartridges sound is a bit thin until it ’re’ settles in. I can not say for sure that it is the suspension that is making the change from sitting, or if it is the coil wire being energized when placed back into use. I do know of some audiophiles that will not even move their speaker wire for fear of having to ’re’ break them in. A lot of Voodoo in this hobby of ours but I do know what I hear. Something does definitely change in the sound of a cartridge when it sits.
    Regards, "

    What have you experienced resurrecting un-used cartridges? original un-used stylus? new stylus in old body?

Next to the piece, the page also holds calculated molecules.
/*
Record 1
Entry from the OMol25 dataset: CCl3F3NOPS as an isolated structure at a distorted geometry (the ωB97M-V functional and the def2-TZVPD basis).

HOMO level (spin up / spin down)	-0.3664 / -0.3664	Ha
calculated total energy	-70417.37287	eV
energy above the lowest of the compared OMol25 structures with the same formula, charge and spin	13.8	kJ/mol
largest force on an atom	0.069	hartree/bohr
net charge	0

Geometry as XYZ:
```
11
CCl3F3NOPS the ωB97M-V functional and the def2-TZVPD basis
C -2.23403 0.43393 -0.27525
N 0.86681 0.59732 -0.70591
O -0.63249 -1.47018 1.07135
F -3.12947 0.13621 0.55371
F -1.77062 1.68614 0.05715
F -2.75004 0.32140 -1.52546
P 2.10382 0.01199 0.03019
S -0.79554 -0.90085 -0.24066
Cl 3.65949 0.85473 -0.86862
Cl 2.29848 -2.02793 -0.07892
Cl 2.38359 0.35724 1.98240
```

Here are the natural (NBO) charges for atoms 1 to 8, given in e:
1 C 0.81
2 N -1.14
3 O -0.85
4 F -0.28
5 F -0.31
6 F -0.32
7 P 1.45
8 S 1.25

=====

Record 2
Entry from the OMol25 dataset: C28H44BrCdN3SbSi3 as an isolated structure at a distorted geometry (the ωB97M-V functional and the def2-TZVPD basis).

HOMO level (spin up / spin down)	-0.3140 / -0.3149	Ha
calculated total energy	-138990.87903	eV
largest force on an atom	0.063	hartree/bohr
net charge	+1

Geometry as XYZ:
```
81
C28H44BrCdN3SbSi3 the ωB97M-V functional and the def2-TZVPD basis
Cd 9.43442 13.77306 11.20986
C 12.42589 14.80303 7.44405
Sb 11.19707 15.10510 9.25767
C 11.73276 13.58143 10.88670
C 12.10266 13.93182 12.26025
C 13.42362 14.14888 12.65092
C 13.70234 14.47909 13.97215
C 12.65525 14.56384 14.86501
C 11.38018 14.27861 14.43455
N 11.08156 13.94808 13.17953
Si 12.55113 12.09629 9.95960
C 11.42323 11.47902 8.61070
C 14.26674 12.37007 9.21544
C 12.78328 10.77988 11.31669
C 9.67921 17.00296 9.36906
C 8.98640 17.09237 10.64061
C 8.27665 18.30678 10.91395
C 7.90639 18.63560 12.25014
C 8.15373 17.66793 13.20048
C 8.63967 16.41582 12.85627
N 9.06771 16.12212 11.63388
Si 11.18474 18.20848 9.22379
C 11.90484 18.28241 7.51291
C 12.59160 17.74433 10.49263
C 10.68942 19.97545 9.68147
Si 8.63617 16.98633 7.84550
C 8.46678 18.72840 7.14289
C 6.96681 16.30574 8.44085
C 9.28141 15.86210 6.42826
H 12.10939 13.85274 7.05385
H 13.47600 14.70365 7.70157
H 12.25540 15.66423 6.70061
H 14.21012 14.16908 11.88538
H 14.73066 14.64645 14.22801
H 12.82014 14.86462 15.90793
H 10.47413 14.31490 15.08634
H 10.75758 12.22132 8.19180
H 10.82689 10.64108 9.00814
H 12.01381 10.96714 7.78996
H 14.14961 12.79578 8.20096
H 14.76216 11.41768 9.16597
H 14.87169 13.08194 9.81040
H 11.86281 10.22152 11.54038
H 13.33089 11.16219 12.22441
H 13.43630 9.92556 10.91812
H 8.03845 19.00378 10.09379
H 7.48625 19.60817 12.50455
H 7.83894 17.82146 14.27254
H 8.58553 15.62419 13.57098
H 12.97047 17.93716 7.57263
H 11.92178 19.33762 7.27985
H 11.34132 17.75410 6.70046
H 13.42600 17.29476 9.88575
H 12.40865 17.01558 11.24949
H 12.85545 18.72256 10.93266
H 10.03807 20.54431 8.98427
H 11.63219 20.50130 9.78060
H 10.17929 20.07834 10.65563
*/

    Regrets getting new Stylus for Old Cartridge?

• Calculated molecules, as found in the file:
~~~
[1]
The following is a quantum chemistry calculation of 2 unconnected molecules or ions with the total composition C5H10BrF2N2 at a distorted geometry, from OMol25.

The geometry in XYZ format:
```
20
Properties=species:S:1:pos:R:3:forces:R:3:mulliken_charge:R:1
C 0.298890 0.362498 0.145395 0.9 1.3 0.2 -0.064
C 2.399483 0.231667 1.452508 1.0 4.1 -2.6 -1.372
C -0.636579 2.210674 -1.261667 0.3 0.2 -1.4 -0.641
C 1.201278 -0.505370 0.913625 -1.5 0.1 0.1 0.747
C -2.884066 -1.217268 -0.699784 0.1 1.5 -0.3 0.166
N -0.161451 1.239268 -0.417993 1.2 -3.0 1.0 0.247
N 1.609310 -1.557890 0.000840 0.1 -1.0 0.6 -0.649
F -1.647263 -1.690781 -0.710446 0.9 -0.5 0.3 -0.157
F -2.871997 -0.224405 -1.658586 -0.4 -0.4 1.1 -0.200
Br -3.193373 -0.425631 1.151411 0.0 -0.7 -1.7 -0.105
H 2.850909 -0.344495 2.159971 1.0 -1.7 2.2 0.408
H 2.195000 1.286505 1.904568 0.1 -2.0 -0.7 0.337
H 3.225320 0.357204 0.640692 -1.7 -0.1 1.2 0.309
H -1.563538 1.785418 -1.663714 0.2 0.7 -0.4 0.286
H 0.201110 2.429322 -1.986221 -1.3 0.0 0.5 0.335
H -0.778026 2.977167 -0.551521 -0.7 1.8 0.0 0.342
H 0.563448 -0.715399 1.814563 0.3 -0.7 -0.6 0.173
H -3.558932 -1.997601 -1.041403 -0.5 0.1 0.6 0.299
H 0.972245 -1.809089 -0.754560 -0.1 0.2 0.5 0.266
H 1.778233 -2.391792 0.562323 0.1 0.0 -0.4 0.272
```
Forces are in eV/Å.

The energy above the lowest of the compared OMol25 structures with the same formula, charge and spin is 0.0 kJ/mol. The total energy is -83796.0603 eV. The HOMO-LUMO gap is 10.661 eV. Its charge is +1.


[2]
The following is a quantum chemistry calculation of a molecular structure, C5H10BrISi at a distorted geometry, from OMol25.

The geometry in XYZ format:
```
18
Properties=species:S:1:pos:R:3:forces:R:3:mulliken_charge:R:1
C -1.766568 -2.026451 1.292913 -0.3 1.5 0.6 -0.732
C -0.558200 -2.110728 0.795628 1.3 3.3 -2.0 -0.010
C 1.033708 0.128903 -2.114256 -3.5 -2.2 0.6 -0.990
C 1.624762 1.226519 1.057177 1.6 -3.5 -0.8 -1.163
C -1.117310 1.164739 -0.367509 -1.7 0.0 0.8 -0.785
Si 0.595920 0.516348 -0.312424 -1.3 -1.8 0.4 0.691
Br 0.326951 -3.736346 0.497395 0.2 -0.3 0.2 -0.187
I -1.079391 3.233259 0.243092 -0.1 0.2 -0.4 0.004
H -2.024504 -2.870905 1.845676 -1.4 -1.5 0.7 0.311
H -2.406324 -1.103226 1.442471 1.1 -1.1 -0.4 0.159
H 1.958682 0.358506 -2.510357 2.0 0.4 -0.7 0.415
H 0.867890 -1.059132 -2.101065 0.4 2.5 -0.4 0.266
H 0.198398 0.592031 -2.784455 1.5 -0.9 1.3 0.264
H 2.456009 1.732945 0.661951 1.2 1.0 -0.8 0.412
H 1.220411 1.830717 1.787507 -1.4 1.0 1.4 0.406
H 2.126565 0.323193 1.537293 -0.7 1.0 -0.3 0.312
H -1.616877 1.059525 -1.335578 0.3 0.3 0.1 0.431
H -1.840117 0.740105 0.364546 0.8 0.1 -0.4 0.195
```
Forces are in eV/Å.

The energy above the lowest of the compared OMol25 structures with the same formula, charge and spin is 329.0 kJ/mol. The total energy is -91363.9753 eV. The HOMO-LUMO gap is 7.191 eV.


[3]
The following is a quantum chemistry calculation of 2 unconnected molecules or ions with the total composition C5H10BrISi at a distorted geometry, from OMol25.
~~~

    Just get a new cartridge with new Stylus?

    I ordered new Shibata Stylus for my Shure V15VxMR body which has been unused for a very long time. It’s not about the stylus rubber, but the body internals in this case.

    I probably will get a new Shibata for Old Victor Z1S body after it get’s here, same internals only issue.

    Both issues: I’m using my Old Unused AT440ML with it’s original Stylus, so it’s about stylus suspension and internals in it’s case. Note: dried crud on diamond and cantilever, it took repeated cleanings, finally electrical contact cleaner rinsed with alcohol worked, looks like original now.

43
Properties=species:S:1:pos:R:3:forces:R:3 method="wB97M-V/def2-TZVPD" e_lumo_ev=0.7 molar_mass_g_mol=264.4 homo_lumo_gap_ev=9.544 charge=0 de_lowest_ev=1.2307
C -0.602 -3.937 0.285 0.149 0.197 -0.135
C -0.796 -2.464 0.036 0.071 -0.232 -0.011
N -0.008 -1.753 -0.657 -0.272 0.646 -0.012
N 1.090 -2.254 -1.264 -0.051 -1.310 0.261
C 1.985 -1.438 -1.887 -0.004 0.465 -0.163
O 2.952 -1.895 -2.456 0.169 -0.036 -0.057
C 1.674 0.036 -1.756 0.119 0.040 0.040
H 2.229 0.581 -2.518 0.001 -0.097 -0.016
C 2.067 0.518 -0.349 -0.043 -0.404 -0.230
N 1.564 1.833 -0.079 0.244 0.626 0.019
C 2.096 3.033 -0.412 -0.086 0.163 0.083
C 1.200 3.985 0.024 0.112 -0.195 -0.091
C 0.142 3.264 0.607 0.281 -0.080 -0.157
N 0.383 1.967 0.532 -0.592 -0.222 0.382
C -1.096 3.796 1.237 0.045 -0.053 -0.022
H -1.671 4.372 0.514 -0.088 0.033 0.019
H -0.847 4.451 2.071 -0.068 0.029 0.060
H -1.701 2.970 1.598 -0.096 -0.016 0.055
H 1.291 5.049 -0.061 0.085 0.227 -0.048
C 3.408 3.178 -1.092 -0.007 -0.093 -0.001
H 4.200 2.702 -0.513 0.093 0.013 -0.024
H 3.391 2.720 -2.081 0.079 0.004 -0.074
H 3.645 4.232 -1.203 0.043 0.016 -0.021
H 1.614 -0.143 0.392 0.156 0.122 -0.026
H 3.154 0.507 -0.237 -0.091 -0.003 0.041
H 0.603 0.187 -1.883 0.055 0.099 0.007
H 1.281 -3.255 -1.289 0.016 0.262 -0.014
C -1.987 -1.754 0.645 -0.216 0.240 0.027
C -1.800 -1.699 2.167 0.003 -0.047 -0.203
H -1.713 -2.693 2.599 -0.001 -0.124 0.107
H -0.904 -1.133 2.411 0.104 0.078 0.071
H -2.653 -1.203 2.624 -0.108 0.045 0.086
C -2.093 -0.324 0.108 0.100 -0.218 0.133
H -1.211 0.258 0.360 -0.034 0.046 -0.036
H -2.201 -0.336 -0.972 -0.025 0.057 -0.164
H -2.965 0.162 0.538 -0.159 0.040 0.089
C -3.275 -2.511 0.300 0.215 0.031 0.047
H -3.384 -2.599 -0.779 -0.066 -0.021 -0.135
H -4.133 -1.965 0.685 -0.098 0.043 0.045
H -3.292 -3.508 0.732 -0.049 -0.146 0.041
H 0.422 -4.134 0.606 0.049 -0.072 0.015
H -0.786 -4.499 -0.632 -0.005 -0.107 -0.021
H -1.274 -4.305 1.051 -0.031 -0.043 0.035

=====

11
Properties=species:S:1:pos:R:3:forces:R:3 method="wB97M-V/def2-TZVPD" e_lumo_ev=3.7 molar_mass_g_mol=118.1 homo_lumo_gap_ev=7.766 charge=-1 de_lowest_ev=1.3627
C 2.498 0.170 -0.041 1.067 0.822 -0.041
C 0.216 -0.949 0.003 4.616 -0.134 0.005
C -2.132 0.420 0.036 0.722 -0.179 -0.002
N 2.053 -1.023 0.003 -4.595 -1.832 0.039
O 1.891 1.270 -0.073 0.524 0.654 -0.044
O -0.443 -1.943 0.007 0.017 -0.054 0.029
S -0.276 0.702 -0.009 -1.852 0.803 -0.016
H 3.617 0.197 -0.052 -0.104 0.029 0.014
H -2.375 -0.535 -0.414 -0.163 -0.122 -0.042
H -2.576 1.236 -0.526 -0.077 0.085 -0.063
H -2.473 0.455 1.066 -0.157 -0.072 0.120

=====

12
Properties=species:S:1:pos:R:3:forces:R:3 method="wB97M-V/def2-TZVPD" e_lumo_ev=0.9 molar_mass_g_mol=60.1 homo_lumo_gap_ev=9.557 charge=0 de_lowest_ev=3.4372
C 0.893 -1.517 0.353 -0.025 -0.051 0.022
C 0.808 1.037 -1.031 0.095 0.331 0.361
O 0.316 1.499 0.085 0.134 -0.126 -0.412
C -1.119 1.523 0.150 -0.280 0.034 0.050
H 0.202 -2.315 0.634 0.163 0.049 -0.012
H 1.893 -1.924 0.183 -0.182 0.001 0.050
H 0.936 -0.767 1.149 -0.010 -0.199 -0.167

    Sounds great on clean LP’s, I was not aware of this ’mini-break-in' idea, so haven’t been paying attention. Only around 20 hours since resurrected. I will move it to my new Lustre GST-801 arm when assembled. I will pay more attention then.

    I'll pay attention to the Shure when new stylus arrives.


    So many layers involved using great but weathered stuff.


    Showing 2 responses by millercarbon

    chakster wrote:
    Not sure what what is the question,

    Indeed. What is the question?
    My Koetsu Black Goldline goes through this every night. The first few minutes or so is a fairly big change, but it continues to improve clear across the first side and probably even longer, it just gets harder/less obvious as the rate of improvement slows.

    This same thing has happened with every cartridge ever, the last two being Benz Ruby H and Benz Glider. I view it as similar to warm-up. 

    This is NOT to say they have to be run and run to sound great. When chakster says they are great (or not) right from the start he is totally correct. If its crap out of the box its crap, period. But this is more like its great right out of the box, then it goes to stellar. But even a star, you know, twinkles.